/*
Entry 1:
ORCA calculation (the ωB97M-V functional and the def2-TZVPD basis) on a 4-piece molecular cluster, C27H62BO2 overall.

Summary:
Molecular weight = 429.6 g/mol
Total charge = -1
HOMO level = -4.658 eV
E_LUMO = 2.15 eV
Electronic energy = -1241.29707 Eh
F_max = 1.84 eV/A

```
92
Properties=species:S:1:pos:R:3:forces:R:3:mulliken_charge:R:1
C -6.0110 -2.4068 0.2828 0.0 -0.6 -0.1 -1.10
B -5.0403 -3.6481 0.8097 0.0 0.0 0.3 0.47
C -4.0844 -3.2276 2.1236 0.0 -0.1 -1.1 -1.20
C -2.5813 -3.4899 1.9189 -0.1 0.5 0.6 0.66
C -2.0615 -4.7948 2.5168 0.2 -0.2 -0.7 -1.08
C -2.9687 -6.0169 2.3407 0.3 -0.3 0.3 -0.35
C -2.6467 -6.9287 1.1589 -0.3 0.1 0.2 -0.96
C -2.8996 -6.3830 -0.2206 0.1 -1.1 -0.5 -0.25
O -1.9132 -5.4076 -0.5975 -0.4 1.0 0.1 -0.27
C -2.2221 -4.7414 -1.7323 -0.5 -1.0 -1.5 0.55
C -1.9478 -3.2640 -1.7448 0.0 0.0 0.2 -0.69
O -2.6571 -5.3122 -2.7298 0.4 0.7 1.5 -0.64
H -5.9192 -2.2857 -0.8006 0.0 0.2 -0.1 0.17
H -7.0614 -2.6550 0.4541 -0.1 0.2 0.1 0.28
H -5.8015 -1.4449 0.7578 0.0 0.1 0.0 0.28
H -5.7424 -4.6284 1.1110 0.0 0.0 0.0 -0.27
H -4.3257 -4.0372 -0.1213 0.1 0.2 0.0 -0.38
H -4.4401 -3.7467 3.0149 0.0 0.2 0.3 0.36
H -4.2058 -2.1509 2.2657 -0.1 0.1 0.3 0.24
H -2.3311 -3.4320 0.8627 -0.1 -0.2 0.1 -0.81
H -2.0133 -2.6808 2.3969 0.2 0.0 0.0 0.51
H -1.1110 -5.0324 2.0270 0.2 0.0 0.1 0.35
H -1.8164 -4.6621 3.5701 -0.2 0.1 0.2 0.41
H -2.8401 -6.6398 3.2307 -0.1 -0.1 0.1 0.28
H -4.0227 -5.7509 2.3010 -0.1 0.2 -0.1 0.27
H -3.3274 -7.7804 1.2396 0.0 -0.2 0.0 0.39
H -1.6416 -7.3431 1.2501 0.2 0.1 -0.1 0.33
H -2.8426 -7.2090 -0.9337 0.1 0.0 -0.1 0.37
H -3.9002 -5.9636 -0.3002 0.1 0.3 0.1 0.20
H -1.9799 -2.8084 -0.7626 0.1 -0.1 0.0 0.33
H -0.9763 -3.0781 -2.1968 0.1 0.0 -0.1 0.44
H -2.7255 -2.8150 -2.3522 0.0 0.1 -0.2 0.10
C -2.5903 2.7628 -5.4822 -0.1 0.1 0.0 -1.25
C -2.9871 2.9798 -4.0245 0.1 0.0 -0.1 -0.71
C -2.4106 1.9301 -3.0769 0.0 0.0 0.1 -0.46
C -2.8697 0.4955 -3.3389 0.0 0.0 -0.1 -0.45
C -4.3823 0.2857 -3.2933 0.0 0.0 0.1 -0.51
C -4.9984 0.5992 -1.9331 0.0 0.0 -0.1 -1.17
H -2.9635 1.8129 -5.8661 0.0 0.0 0.0 0.35
H -2.9974 3.5555 -6.1128 0.0 0.0 0.0 0.37
H -1.5034 2.7705 -5.5937 0.0 0.0 0.0 0.26
H -4.0767 3.0104 -3.9443 0.0 0.0 0.0 0.43
H -2.6315 3.9652 -3.7075 0.0 0.0 0.0 0.37
H -2.6586 2.2093 -2.0493 0.0 0.0 0.0 0.39
H -1.3165 1.9609 -3.1405 0.0 0.0 0.0 0.23
H -2.4014 -0.1579 -2.5969 0.0 0.0 0.0 0.20
H -2.4929 0.1621 -4.3109 0.0 0.0 0.0 0.33
H -4.5909 -0.7581 -3.5401 0.0 0.0 0.0 0.42
H -4.8712 0.8850 -4.0684 0.0 0.0 0.0 0.27
H -4.5540 -0.0238 -1.1562 0.0 0.0 0.0 0.20
H -6.0689 0.3959 -1.9413 0.0 0.0 0.1 0.41
H -4.8625 1.6475 -1.6565 0.0 0.0 0.0 0.32
C 1.1859 4.3970 -3.6509 -0.1 0.0 0.1 -1.07
C 0.9536 4.6906 -2.1714 0.0 0.1 -0.1 -0.18
C 2.2384 4.9978 -1.4046 0.0 0.0 0.1 -0.85
C 3.2525 3.8533 -1.3721 0.0 0.0 0.0 -0.60
C 2.7237 2.5446 -0.7864 0.1 0.0 0.1 -0.23
C 2.2908 2.6623 0.6717 0.0 -0.1 -0.1 -1.20
H 1.8097 3.5138 -3.7945 0.0 0.0 0.0 0.28
H 0.2356 4.2155 -4.1559 0.0 0.0 0.0 0.20
H 1.6714 5.2431 -4.1424 0.0 0.0 0.0 0.38
H 0.4279 3.8506 -1.7097 0.0 0.0 0.0 0.08
H 0.2839 5.5505 -2.0851 0.0 0.0 0.0 0.42
H 1.9800 5.2863 -0.3819 0.0 0.0 0.0 0.32
H 2.7182 5.8750 -1.8512 0.0 0.0 0.0 0.38
H 4.1222 4.1764 -0.7900 0.0 0.0 0.0 0.30
H 3.6232 3.6642 -2.3835 0.0 0.0 0.0 0.31
H 3.5115 1.7900 -0.8617 0.0 0.0 0.0 0.35
H 1.8895 2.1714 -1.3861 0.0 0.0 0.0 0.16
H 3.1243 2.9962 1.2947 0.0 0.0 0.0 0.21
H 1.9519 1.6980 1.0517 0.0 0.0 0.0 0.39
H 1.4700 3.3697 0.7964 0.0 0.0 0.0 0.37
C 7.0333 2.4815 1.6513 0.0 -0.1 0.0 -1.27
C 5.9806 1.7715 2.4981 0.0 0.1 -0.1 -0.16
C 5.7120 2.4575 3.8361 0.0 0.0 0.0 -0.64
C 6.9157 2.5254 4.7776 0.0 0.0 0.0 -0.85
C 7.5330 1.1728 5.1292 0.0 0.0 0.1 -0.36
C 6.5745 0.2390 5.8627 0.1 0.0 -0.1 -1.19
H 8.0050 2.5024 2.1472 0.0 0.0 0.0 0.36
H 7.1648 1.9753 0.6940 0.0 0.0 0.0 0.38
H 6.7353 3.5121 1.4459 0.0 0.0 0.0 0.27
H 6.2783 0.7317 2.6571 0.0 0.0 0.0 0.30
H 5.0439 1.7336 1.9367 0.0 0.0 0.0 0.12
H 4.8850 1.9460 4.3357 0.0 0.0 0.0 0.35
H 5.3619 3.4774 3.6472 0.0 0.0 0.0 0.40
H 6.6053 3.0237 5.7015 0.0 0.0 0.0 0.38
*/

What is needed: find "-5.7424 -4.6284" and "1.9800 5.2863" in the lines earlier on, and transcribe these two lines and those between.

H -5.7424 -4.6284 1.1110 0.0 0.0 0.0 -0.27
H -4.3257 -4.0372 -0.1213 0.1 0.2 0.0 -0.38
H -4.4401 -3.7467 3.0149 0.0 0.2 0.3 0.36
H -4.2058 -2.1509 2.2657 -0.1 0.1 0.3 0.24
H -2.3311 -3.4320 0.8627 -0.1 -0.2 0.1 -0.81
H -2.0133 -2.6808 2.3969 0.2 0.0 0.0 0.51
H -1.1110 -5.0324 2.0270 0.2 0.0 0.1 0.35
H -1.8164 -4.6621 3.5701 -0.2 0.1 0.2 0.41
H -2.8401 -6.6398 3.2307 -0.1 -0.1 0.1 0.28
H -4.0227 -5.7509 2.3010 -0.1 0.2 -0.1 0.27
H -3.3274 -7.7804 1.2396 0.0 -0.2 0.0 0.39
H -1.6416 -7.3431 1.2501 0.2 0.1 -0.1 0.33
H -2.8426 -7.2090 -0.9337 0.1 0.0 -0.1 0.37
H -3.9002 -5.9636 -0.3002 0.1 0.3 0.1 0.20
H -1.9799 -2.8084 -0.7626 0.1 -0.1 0.0 0.33
H -0.9763 -3.0781 -2.1968 0.1 0.0 -0.1 0.44
H -2.7255 -2.8150 -2.3522 0.0 0.1 -0.2 0.10
C -2.5903 2.7628 -5.4822 -0.1 0.1 0.0 -1.25
C -2.9871 2.9798 -4.0245 0.1 0.0 -0.1 -0.71
C -2.4106 1.9301 -3.0769 0.0 0.0 0.1 -0.46
C -2.8697 0.4955 -3.3389 0.0 0.0 -0.1 -0.45
C -4.3823 0.2857 -3.2933 0.0 0.0 0.1 -0.51
C -4.9984 0.5992 -1.9331 0.0 0.0 -0.1 -1.17
H -2.9635 1.8129 -5.8661 0.0 0.0 0.0 0.35
H -2.9974 3.5555 -6.1128 0.0 0.0 0.0 0.37
H -1.5034 2.7705 -5.5937 0.0 0.0 0.0 0.26
H -4.0767 3.0104 -3.9443 0.0 0.0 0.0 0.43
H -2.6315 3.9652 -3.7075 0.0 0.0 0.0 0.37
H -2.6586 2.2093 -2.0493 0.0 0.0 0.0 0.39
H -1.3165 1.9609 -3.1405 0.0 0.0 0.0 0.23
H -2.4014 -0.1579 -2.5969 0.0 0.0 0.0 0.20
H -2.4929 0.1621 -4.3109 0.0 0.0 0.0 0.33
H -4.5909 -0.7581 -3.5401 0.0 0.0 0.0 0.42
H -4.8712 0.8850 -4.0684 0.0 0.0 0.0 0.27
H -4.5540 -0.0238 -1.1562 0.0 0.0 0.0 0.20
H -6.0689 0.3959 -1.9413 0.0 0.0 0.1 0.41
H -4.8625 1.6475 -1.6565 0.0 0.0 0.0 0.32
C 1.1859 4.3970 -3.6509 -0.1 0.0 0.1 -1.07
C 0.9536 4.6906 -2.1714 0.0 0.1 -0.1 -0.18
C 2.2384 4.9978 -1.4046 0.0 0.0 0.1 -0.85
C 3.2525 3.8533 -1.3721 0.0 0.0 0.0 -0.60
C 2.7237 2.5446 -0.7864 0.1 0.0 0.1 -0.23
C 2.2908 2.6623 0.6717 0.0 -0.1 -0.1 -1.20
H 1.8097 3.5138 -3.7945 0.0 0.0 0.0 0.28
H 0.2356 4.2155 -4.1559 0.0 0.0 0.0 0.20
H 1.6714 5.2431 -4.1424 0.0 0.0 0.0 0.38
H 0.4279 3.8506 -1.7097 0.0 0.0 0.0 0.08
H 0.2839 5.5505 -2.0851 0.0 0.0 0.0 0.42
H 1.9800 5.2863 -0.3819 0.0 0.0 0.0 0.32